_Assignment_
The reader should set down only the lines underneath with the word "data_TbGeIr" in them.

_Excerpt_
# GGA+U MgTe3WO12, optimized geometry
data_MgTe3WO12
_space_group_name_H-M_alt 'P 1'
_space_group_IT_number 1
_cell_length_a 5.476
_cell_length_b 11.060
_cell_length_c 9.684
_cell_angle_alpha 28.69
_cell_angle_beta 52.39
_cell_angle_gamma 57.46
loop_
_space_group_symop_operation_xyz
'x,y,z'
loop_
_atom_site_label
_atom_site_fract_x
_atom_site_fract_y
_atom_site_fract_z
Mg1 0.800 0.003 0.784
Te1 0.499 0.001 0.501
Te2 0.500 0.503 0.501
Te3 0.001 0.494 0.999
W1 0.995 0.006 0.007
O1 0.374 0.293 0.145
O2 0.217 0.095 0.657
O3 0.125 0.303 0.745
O4 0.854 0.178 0.271
O5 0.373 0.827 0.105
O6 0.727 0.376 0.382
O7 0.251 0.601 0.643
O8 0.650 0.181 0.852
O9 0.130 0.824 0.736
O10 0.850 0.719 0.217
O11 0.757 0.890 0.351
O12 0.628 0.701 0.856
# E (eV/cell): -99.48
# ΔE to the lowest computed polymorph (meV per atom): 57
# DFT formation energy (eV/atom): -1.694

***

# GGA+U MgTe3WO12, optimized geometry
data_MgTe3WO12
_space_group_name_H-M_alt 'P 1'
_space_group_IT_number 1
_cell_length_a 5.313
_cell_length_b 4.947
_cell_length_c 8.886
_cell_angle_alpha 90.00
_cell_angle_beta 90.00
_cell_angle_gamma 89.28
loop_
_space_group_symop_operation_xyz
'x,y,z'
loop_
_atom_site_label
_atom_site_fract_x
_atom_site_fract_y
_atom_site_fract_z
Mg1 0.500 0.500 0.218
Te1 0.000 0.500 0.416
Te2 0.500 0.000 0.902
Te3 0.500 0.500 0.596
W1 0.000 0.000 0.097
O1 0.146 0.264 0.263
O2 0.185 0.293 0.574
O3 0.161 0.215 0.954
O4 0.323 0.698 0.420
O5 0.308 0.785 0.101
O6 0.364 0.745 0.740
O7 0.636 0.255 0.740
O8 0.692 0.215 0.101
O9 0.677 0.302 0.420
O10 0.839 0.785 0.954
O11 0.815 0.707 0.574
O12 0.854 0.736 0.263
# E (eV/cell): -99.96
# ΔE to the lowest computed polymorph (meV per atom): 29
# DFT formation energy (eV/atom): -1.723


Record 1
As2O3: relaxed, meta-GGA r2SCAN.

Cell and atoms, written as CIF:
```
data_As2O3
_cell_length_a 8.032
_cell_length_b 4.605
_cell_length_c 11.029
_cell_angle_alpha 90.00
_cell_angle_beta 124.40
_cell_angle_gamma 90.00
_symmetry_space_group_name_H-M 'P 1 21/c 1'
_symmetry_Int_Tables_number 14
loop_
_symmetry_equiv_pos_as_xyz
'x,y,z'
'-x,-y,-z'
'-x,y+1/2,-z+1/2'
'x,-y+1/2,z+1/2'
loop_
_atom_site_label
_atom_site_type_symbol
_atom_site_fract_x
_atom_site_fract_y
_atom_site_fract_z
As1 As 0.059 0.180 0.371
As2 As 0.416 0.657 0.300
O1 O 0.072 0.680 0.816
O2 O 0.165 0.645 0.132
O3 O 0.465 0.033 0.288
```

Properties
M_tot	0.0000	μB per atom
ΔH_f (0 K)	-1.280	eV per atom
total DFT energy (no corrections)	-10.75	eV per atom

---

Record 2
TbGeIr: relaxed, meta-GGA r2SCAN.

Cell and atoms, written as CIF:
```
data_TbGeIr
_cell_length_a 6.903
_cell_length_b 4.308
_cell_length_c 7.568
_cell_angle_alpha 90.00
_cell_angle_beta 90.00
_cell_angle_gamma 90.00
_symmetry_space_group_name_H-M 'P n m a'
_symmetry_Int_Tables_number 62
loop_
_symmetry_equiv_pos_as_xyz
'x,y,z'
'-x,-y,-z'
'-x+1/2,-y,z+1/2'
'x+1/2,y,-z+1/2'
'x+1/2,-y+1/2,-z+1/2'
'-x+1/2,y+1/2,z+1/2'
'-x,y+1/2,-z'
'x,-y+1/2,z'
loop_
_atom_site_label
_atom_site_type_symbol
_atom_site_fract_x
_atom_site_fract_y
_atom_site_fract_z
Tb1 Tb 0.002 0.250 0.192
Ge1 Ge 0.206 0.750 0.391
Ir1 Ir 0.159 0.250 0.567

_Result_
data_TbGeIr